Top: Look over there, there's been an accident, Pencil drawing
Circle: Rudolf counts his wayward sheep, Gouache and watercolour
Twenty years of my Christmas cards and poems in a 32 pages Brochure.
Shaun & Claire Smyth
"Pole Emploi" Pencil drawing on paper. Actual size : xxx x xxx To be anlarged by a factor of xx% and be printed on a 1 x 4 meter canvas.
Born in 1943 in the West country of England, of Irish father and English mother. After getting a degree of Master of Arts at the Royal college of Art in London, Left Great Britain to live an artistic nomadic life. Married to a Swiss Romande, (French speaking), He now lives just outside Geneva in the Free-zone, in the Ain.
Principal exhibitions (Individual stand at International Art Shows.)
Bâle Foire de L’Art (one-man)
IKI, Kunstmesse Dusseldorf. (one-man)
Principal collective exhibitions since 2002
Yverdon, Les Artistes de la Cartotheque 2002
Yverdon Cartotheque. “Merci de ne pas nourri des artistes”. 2004
Genève. Large format etchings, Centre -l’art contemporain de l’ile. 2005
Belley. 1ere Biennal d’art sacré (religious Art) 2006
Genève. Europ’Art. (International) 2008
Lyon, Salon d’hiver. 2009
Principal collective exhibitions before 2000
Neuchâtel, Neuch’Art (one man)
Bremen, Germany. Der Magische aspekt
Rome, Via Margutta, (Ciente Pittura)
Regular collective exhibitions
GeGrav. 2006-16. (Genève. Committee member for 8 years)
Arpadi (Divonne-les-Bains)
Personal exhibitions
Galerie O’local, Estavayer (Switzerland) 2010
**Between two parts of the page: calculated crystals**
-- begin --
# KCaCl3, relaxed, DFT PBE
data_KCaCl3
_cell_length_a 7.646
_cell_length_b 7.649
_cell_length_c 5.407
_cell_angle_alpha 90.00
_cell_angle_beta 90.01
_cell_angle_gamma 90.00
_symmetry_space_group_name_H-M 'C 1 m 1'
_symmetry_Int_Tables_number 8
loop_
_symmetry_equiv_pos_as_xyz
'x,y,z'
'x,-y,z'
'x+1/2,y+1/2,z'
'x+1/2,-y+1/2,z'
loop_
_atom_site_label
_atom_site_fract_x
_atom_site_fract_y
_atom_site_fract_z
K1 0.000 0.000 0.000
Ca1 0.000 0.500 0.485
Cl1 0.009 0.500 0.985
Cl2 0.249 0.248 0.483
# total DFT energy (no corrections)	-3.93	eV/atom
# total moment	0.000	μB/atom

----------

Record 1
{
  "formula": "CaMg14Sn",
  "functional": "GGA-PBE",
  "state": "optimized geometry",
  "lattice_angstrom": [[6.5211, 0.0865, 0.0000], [-3.1857, 5.5177, 0.0000], [0.0000, 0.0000, 10.5631]],
  "species": ["Ca", "Mg", "Mg", "Mg", "Mg", "Mg", "Mg", "Mg", "Mg", "Mg", "Mg", "Mg", "Mg", "Mg", "Mg", "Sn"],
  "frac_coords": [[0.1634, 0.3317, 0.1250], [0.1664, 0.3332, 0.6250], [0.1649, 0.8324, 0.6250], [0.6648, 0.3292, 0.1250], [0.6665, 0.3347, 0.6250], [0.6648, 0.8355, 0.1250], [0.6665, 0.8319, 0.6250], [0.3363, 0.1660, 0.3823], [0.3363, 0.1660, 0.8677], [0.3363, 0.6703, 0.3823], [0.3363, 0.6703, 0.8677], [0.8293, 0.1646, 0.3825], [0.8293, 0.1646, 0.8675], [0.8325, 0.6662, 0.3741], [0.8325, 0.6662, 0.8759], [0.1741, 0.8371, 0.1250]],
  "total_energy_ev_per_atom": -1.82,
  "e_form_mev_per_atom": -43
}



Record 2
{
  "formula": "CaAl12Si4O27",
  "functional": "GGA-PBE",
  "state": "optimized geometry",
  "lattice_angstrom": [[1.2987, 5.5425, -4.5837], [-5.0651, 0.6881, 5.2238], [6.0369, 3.0898, 5.4465]],
  "species": ["Ca", "Al", "Al", "Al", "Al", "Al", "Al", "Al", "Al", "Al", "Al", "Al", "Al", "Si", "Si", "Si", "Si", "O", "O", "O", "O", "O", "O", "O", "O", "O", "O", "O", "O", "O", "O", "O", "O", "O", "O", "O", "O", "O", "O", "O", "O", "O", "O", "O"],
-- stop --
**So much for the calculated crystals**
Amsterdam, Henricus
Ladenburg (Germany.) Galerie Herzog,
Genève, Bernard Letu
Genève, Maunoir
Other Solo exhibitions: Lausanne (Blanc), Neuchatel (Atelier de l’Ecluse), Le Locle (Yallah), Mixed; La Chaux-de-Fonds et Fribourg (Avry), Geneva (Villa Dutoit 2005) London, and Northampton (Town and County Art Exhibitions, Three artists, Young Alive, Abingdon Park Art Exhibitions) Rabaul, Port Moresby (both in Papua New Guinea), Riyadh (Saudi Arabia).
Illustrator, graphist (medical illustrator at WHO. 17.5 years), Archeology, Museum (Lataenium, Neuchâtel), Postage stamp graphism. Taught & lived several years in Papua New Guinea and Saudi Arabia.
M.Art (RCA): Royal College of Art (Lon). Fine Art Printmaking
A.T.C.(B’ham) Birmingham Art teachers College & University
Art Teachers Certificate & Cert. in Education (B’ham)
N.D.D.: Northampton Sch. of Art. Nat. Diploma in design, (Illustration & illumin.)
May and June 1968, Travelling Scolarship at the Cité Internationale des Arts in Paris.
Award to visit Florence (Italy) 1964
Divonne-les-Bains, June 25, 2019